**Data**
'''
1.
C5H14O4 | the ωB97M-V functional and the def2-TZVPD basis

```
23
Properties=species:S:1:pos:R:3:nbo_charge:R:1
C -1.730 -0.268 1.131 1.05
C 0.181 1.307 0.880 -0.83
C -0.336 2.187 -0.249 -0.61
O -2.146 -0.205 -0.168 -0.70
O -2.413 0.577 1.908 -0.65
O -1.250 -1.315 1.605 -0.69
H -1.750 -0.940 -0.655 0.50
H -2.811 1.269 1.362 0.50
H 0.080 -1.521 1.154 0.52
H 1.266 1.460 0.966 0.22
H -0.194 1.618 1.853 0.21
H -0.055 3.236 -0.117 0.20
H 0.048 1.857 -1.216 0.19
H -1.424 2.166 -0.340 0.18
C 1.083 -1.876 -0.661 -0.05
C 1.905 -1.016 -1.607 -0.63
O 0.992 -1.250 0.619 -0.75
H 0.592 0.031 0.666 0.37
H 0.080 -2.044 -1.078 0.14
H 1.545 -2.858 -0.529 0.18
H 2.906 -0.875 -1.202 0.22
H 1.442 -0.039 -1.742 0.21
H 1.989 -1.500 -2.581 0.21
```

Its molar mass is 138.16 g/mol. As for the net charge: 0. As for the calculated total energy: -13599.8712 eV. The calculation puts the largest force on an atom at 3.1 eV Å⁻¹. As for the HOMO-LUMO gap: 8.94 eV. The HOMO energy is -8.48 eV. The value obtained for the energy relative to the best compared isomer or geometry (same formula, charge and spin) is 68.72 kcal per mole. Its multiplicity is 1. Its LUMO energy is 0.469 eV.

2.
C8H24O4 | the ωB97M-V functional and the def2-TZVPD basis

```
36
Properties=species:S:1:pos:R:3:nbo_charge:R:1
C 8.812 3.368 -19.870 -0.69
C 9.076 4.272 -18.662 -0.10
O 9.240 5.593 -19.103 -0.75
H 9.001 2.337 -19.570 0.22
H 9.442 3.588 -20.732 0.26
H 7.759 3.490 -20.127 0.21
H 9.951 3.896 -18.132 0.17
H 8.176 4.140 -18.061 0.18
H 9.181 6.225 -18.383 0.50
C 5.995 6.449 -22.869 -0.64
C 6.147 6.861 -24.332 -0.06
O 7.208 6.188 -24.911 -0.71
H 6.985 6.534 -22.420 0.20
H 5.725 5.417 -22.646 0.20
H 5.378 7.101 -22.251 0.21
H 6.312 7.937 -24.290 0.15
H 5.202 6.698 -24.849 0.18
H 8.020 6.637 -24.665 0.47
C 8.770 7.128 -21.096 -0.63
C 8.495 5.705 -21.469 -0.11
O 9.696 4.990 -21.251 -0.70
H 8.727 7.347 -20.029 0.21
H 7.955 7.680 -21.563 0.20
H 9.705 7.468 -21.542 0.23
H 8.239 5.537 -22.515 0.22
H 7.703 5.264 -20.864 0.19
H 9.897 4.786 -20.335 0.54
C 9.302 3.843 -24.013 -0.62
C 10.553 3.829 -23.158 -0.07
O 10.926 5.109 -22.688 -0.81
H 9.363 4.540 -24.849 0.21
H 8.559 4.318 -23.373 0.18
H 8.899 2.898 -24.377 0.21
H 11.457 3.471 -23.653 0.17
H 10.339 3.141 -22.341 0.12
H 10.466 5.295 -21.866 0.45
```

Its molar mass is 184.28 g/mol. As for the net charge: 0. As for the calculated total energy: -16867.2253 eV. The calculation puts the largest force on an atom at 10.7 eV Å⁻¹. As for the HOMO-LUMO gap: 8.63 eV. The HOMO energy is -8.36 eV. The value obtained for the energy relative to the best compared isomer or geometry (same formula, charge and spin) is 172.58 kcal per mole. Its multiplicity is 1. Its LUMO energy is 0.268 eV.

3.
C2H5N5O | the ωB97M-V functional and the def2-TZVPD basis

```
13
Properties=species:S:1:pos:R:3:nbo_charge:R:1
C 0.716 0.373 -0.061 0.47
C -1.247 -0.387 -0.091 0.72
H 2.304 -1.742 -0.220 0.35
H 3.656 -0.889 0.156 0.36
H -2.121 -2.056 0.302 0.52
H -2.273 1.260 0.536 0.39
H -0.167 2.230 -0.580 0.37
N 2.530 -0.741 0.193 -0.68
N 1.940 0.399 -0.168 -0.32
N -0.016 -0.723 -0.093 -0.60
N -1.491 0.997 -0.052 -0.50
N -0.151 1.616 0.211 -0.43
O -2.237 -1.195 0.011 -0.65
```

As for the SMILES: N/N=c1\nc(O)[nH][nH]1. Its molar mass is 115.10 g/mol. As for the net charge: 0. As for the calculated total energy: -11649.6121 eV. The calculation puts the largest force on an atom at 8.2 eV Å⁻¹. As for the HOMO-LUMO gap: 7.96 eV. The HOMO energy is -7.47 eV. The value obtained for the energy relative to the best compared isomer or geometry (same formula, charge and spin) is 67.63 kcal per mole. Its multiplicity is 1. Its LUMO energy is 0.487 eV.

4.
C4H15N2O | the ωB97M-V functional and the def2-TZVPD basis

```
22
Properties=species:S:1:pos:R:3:nbo_charge:R:1
C 1.510 1.702 -0.055 -0.21
C 1.075 0.844 -1.354 -0.43
C -0.304 0.264 -1.302 -0.22
C -1.394 -1.897 -0.732 -0.45
N -0.459 -0.867 -0.265 -0.54
N 1.451 0.810 1.108 -0.91
H 0.944 2.610 0.053 0.21
H 2.569 1.921 -0.232 0.20
'''
**Assignment**
The reader should quote the notes further up from the line with "-1.607 -0.63" to the end exactly.
**Solution**
C 1.905 -1.016 -1.607 -0.63
O 0.992 -1.250 0.619 -0.75
H 0.592 0.031 0.666 0.37
H 0.080 -2.044 -1.078 0.14
H 1.545 -2.858 -0.529 0.18
H 2.906 -0.875 -1.202 0.22
H 1.442 -0.039 -1.742 0.21
H 1.989 -1.500 -2.581 0.21
```

Its molar mass is 138.16 g/mol. As for the net charge: 0. As for the calculated total energy: -13599.8712 eV. The calculation puts the largest force on an atom at 3.1 eV Å⁻¹. As for the HOMO-LUMO gap: 8.94 eV. The HOMO energy is -8.48 eV. The value obtained for the energy relative to the best compared isomer or geometry (same formula, charge and spin) is 68.72 kcal per mole. Its multiplicity is 1. Its LUMO energy is 0.469 eV.

2.
C8H24O4 | the ωB97M-V functional and the def2-TZVPD basis

```
36
Properties=species:S:1:pos:R:3:nbo_charge:R:1
C 8.812 3.368 -19.870 -0.69
C 9.076 4.272 -18.662 -0.10
O 9.240 5.593 -19.103 -0.75
H 9.001 2.337 -19.570 0.22
H 9.442 3.588 -20.732 0.26
H 7.759 3.490 -20.127 0.21
H 9.951 3.896 -18.132 0.17
H 8.176 4.140 -18.061 0.18
H 9.181 6.225 -18.383 0.50
C 5.995 6.449 -22.869 -0.64
C 6.147 6.861 -24.332 -0.06
O 7.208 6.188 -24.911 -0.71
H 6.985 6.534 -22.420 0.20
H 5.725 5.417 -22.646 0.20
H 5.378 7.101 -22.251 0.21
H 6.312 7.937 -24.290 0.15
H 5.202 6.698 -24.849 0.18
H 8.020 6.637 -24.665 0.47
C 8.770 7.128 -21.096 -0.63
C 8.495 5.705 -21.469 -0.11
O 9.696 4.990 -21.251 -0.70
H 8.727 7.347 -20.029 0.21
H 7.955 7.680 -21.563 0.20
H 9.705 7.468 -21.542 0.23
H 8.239 5.537 -22.515 0.22
H 7.703 5.264 -20.864 0.19
H 9.897 4.786 -20.335 0.54
C 9.302 3.843 -24.013 -0.62
C 10.553 3.829 -23.158 -0.07
O 10.926 5.109 -22.688 -0.81
H 9.363 4.540 -24.849 0.21
H 8.559 4.318 -23.373 0.18
H 8.899 2.898 -24.377 0.21
H 11.457 3.471 -23.653 0.17
H 10.339 3.141 -22.341 0.12
H 10.466 5.295 -21.866 0.45
```

Its molar mass is 184.28 g/mol. As for the net charge: 0. As for the calculated total energy: -16867.2253 eV. The calculation puts the largest force on an atom at 10.7 eV Å⁻¹. As for the HOMO-LUMO gap: 8.63 eV. The HOMO energy is -8.36 eV. The value obtained for the energy relative to the best compared isomer or geometry (same formula, charge and spin) is 172.58 kcal per mole. Its multiplicity is 1. Its LUMO energy is 0.268 eV.

3.
C2H5N5O | the ωB97M-V functional and the def2-TZVPD basis

```
13
Properties=species:S:1:pos:R:3:nbo_charge:R:1
C 0.716 0.373 -0.061 0.47
C -1.247 -0.387 -0.091 0.72
H 2.304 -1.742 -0.220 0.35
H 3.656 -0.889 0.156 0.36
H -2.121 -2.056 0.302 0.52
H -2.273 1.260 0.536 0.39
H -0.167 2.230 -0.580 0.37
N 2.530 -0.741 0.193 -0.68
N 1.940 0.399 -0.168 -0.32
N -0.016 -0.723 -0.093 -0.60
N -1.491 0.997 -0.052 -0.50
N -0.151 1.616 0.211 -0.43
O -2.237 -1.195 0.011 -0.65
```

As for the SMILES: N/N=c1\nc(O)[nH][nH]1. Its molar mass is 115.10 g/mol. As for the net charge: 0. As for the calculated total energy: -11649.6121 eV. The calculation puts the largest force on an atom at 8.2 eV Å⁻¹. As for the HOMO-LUMO gap: 7.96 eV. The HOMO energy is -7.47 eV. The value obtained for the energy relative to the best compared isomer or geometry (same formula, charge and spin) is 67.63 kcal per mole. Its multiplicity is 1. Its LUMO energy is 0.487 eV.

4.
C4H15N2O | the ωB97M-V functional and the def2-TZVPD basis

```
22
Properties=species:S:1:pos:R:3:nbo_charge:R:1
C 1.510 1.702 -0.055 -0.21
C 1.075 0.844 -1.354 -0.43
C -0.304 0.264 -1.302 -0.22
C -1.394 -1.897 -0.732 -0.45
N -0.459 -0.867 -0.265 -0.54
N 1.451 0.810 1.108 -0.91
H 0.944 2.610 0.053 0.21
H 2.569 1.921 -0.232 0.20